Agenda item

Local Plan Publication

Report of the City Planning Officer.


(A copy of the Local Plan has been separately circulated).


The Chairman introduced the report of the City Planning Officer, noting that the current draft of the Local Plan had been through several stages to date, including a round of public consultation and a meeting of the Sub Committee in July 2013. He therefore invited Members to discuss the key issues outlined within the report.


The Planning and Performance Director (PPD) added that the finalised Local Plan would have to be submitted to the Secretary of State for Communities and Local Government and therefore officers had taken the opportunity to review the processes and format that had been adopted for the proposed Plan with an advisory planning inspector on 24 September. The inspector had concluded that the relevant rules had been followed and that the City of London Corporation had a good evidence base for the Plan and therefore there was no obvious impediment to the Plan being adopted in good time.


The Sub Committee proceeded to discuss the following key issues:



The PPD noted that both the Core Strategic (CS) and Development Management (DM) policies on Offices had been amended to reflect the importance of the long term viability of office space in the City and further references to viability should be added to policy DM1.1. In response to a query from a Member the Sub Committee agreed that DM 1.1 should retain reference to ‘large office development sites’.


Licensing and Planning

The PPD outlined the main changes to DM 3.5 Night Time Entertainment, noting that it had been amended to focus on what the Corporation could do specifically to safeguard local amenity, in its role as a planning authority.


In response to an observation from a Member, the Chairman commented that the idea behind the amendment was to ensure that both the Planning and the Licensing Committees were focused on their particular areas of authority.


A Member considered that to the Plan should strengthen the requirement for developers to design out features which could be used in ways adversely affecting the amenity of the area. 


In response to a question from a Member, officers confirmed that ‘Night-time entertainment’ was a preferred definition to ‘Night-time economy’.


In response to a request from a Member it was agreed that the reference to the Late Night Levy on page 52 should be amended. Furthermore it was agreed to make explicit reference to the Licensing Code of Good Practice.


Thames and the Riverside

The PPD noted that the term ‘office gateway’ had been removed from CS9 in favour of text promoting office-led commercial development, and that the Thames Tideway Tunnel Safeguarding Area had been incorporated into the Plan. Furthermore he noted that the proposed Riverside Appraisal SPD would be published in spring 2014 alongside the review of the Riverside Public Realm Enhancement Strategy.


Visitors, Arts and Culture

The PPD noted the fact DM 11.3 Hotels had been amended to relate it more closely to DM 1.1 Protection of Office Accommodation.




Sustainable Development

The PPD informed the Sub Committee that the government’s intention to deal with carbon off-setting through building regulations rather than through the planning system meant that  there was now no longer a need for a specific Supplementary Planning Document (SPD). Instead mechanisms for dealing with off-setting would be included in the revised s106 Planning Obligations SPD. The Planning Services and Development Director noted that the implication of this new off-setting approach was that the City of London Corporation would be entering more planning agreements than had previously been the case.


Public Transport, Streets and Walkways

In response to a question from a Member regarding the cycle parking standard, the PPD indicated that it would be possible to review the standard at a later date if necessary, without reviewing the whole plan. Furthermore the CPO assured Members that at present the City Corporation was leading its peers in terms of the cycle parking provision it currently required from developers.


In response to a query from a Member over the lack of cycle parking at Cannon Street and Blackfriars Stations the CPO noted that provision was a relatively new requirement. He referenced the cycle parking provision at Liverpool Street as an example. Overall it was noted that the level of cycle parking provision at stations was the choice of either Transport for London (TfL), the station operators and the rail companies in question rather than that of the City of London Corporation.


In response to a request from a Member for cycle provision for workers within retail developments, the CPO replied that this issue was dealt with under the London Plan.


A Member felt it was inaccurate to describe the public car parks in the City as underused (e.g. page 145 in the Local Plan) as some car parks in her ward were always busy, compared to other car parks in the City. Moreover she felt that it would be appropriate to reference the Corporation’s aspiration for amended bus provision and bus routes within the City. The Chairman noted that this would be outside of the remit of the Local Plan as this was properly a matter for Transport for London (TfL). Officers agreed that this issue could be addressed in the new Transport Strategy.



The PPD noted that figures on tonnage of waste on page 149 had been updated to reflect recent research and that officers would be contacting other waste planning authorities to satisfy the Corporation’s Duty to Co-operate.



The PPD explained to the Sub Committee that the housing target set by the London Plan was likely to increase. He indicated that the City may technically be able to meet a higher figure, but this needed to be considered in the context of the City’s role as a business centre. Revised London Plan targets will be published for consultation in January 2014 and Members would be given the opportunity to consider them at this stage.  The Planning Services and Development Director concluded the introduction by noting that this was an issue that would only become pressing in ten to fifteen years’ time.


In response to a request from a Member, it was agreed that DM 21.1 Location of new housing third bullet point would be amended so that the Corporation would not be bound to considering only noise when seeking to ensure residential amenity.   





Other Amendments

In considering paragraph 12 on the covering report, the Chairman received confirmation from the PPD that the amendments referred to in the rest of the draft Local Plan were non-substantive.


Amended Maps

The PPD tabled three amended maps detailing policy areas and strategic planning areas within the City and noted that the City Fringe now ended at the border with the City itself.



The Chairman referred officers to paragraph 13 within their covering report and noted he was happy to grant them authority to make any necessary further non-substantive amends to the Local Plan provided they liaised with both himself or the Deputy Chairman. He noted however, that any changes both he or the Deputy Chairman deemed to be substantive would be referred to the Members of the Sub Committee.

These calculated crystals were left in the page by mistake:
____________
An optimized crystal structure of MgTi2Be3Si3O12, computed with PBE.

POSCAR file:
```
MgTi2Be3Si3O12
1.0
7.524 0.000 0.000
0.000 8.206 0.000
0.000 8.206 14.182
O Ti Be Mg Si
48 8 12 4 12
direct
0.238 0.381 0.696 O
0.257 0.046 0.707 O
0.967 0.368 0.117 O
0.237 0.730 0.690 O
0.762 0.619 0.304 O
0.876 0.296 0.956 O
0.738 0.619 0.804 O
0.623 0.912 0.146 O
0.376 0.704 0.544 O
0.245 0.042 0.021 O
0.762 0.585 0.478 O
0.262 0.381 0.196 O
0.261 0.392 0.365 O
0.467 0.761 0.051 O
0.743 0.954 0.293 O
0.034 0.104 0.820 O
0.123 0.088 0.354 O
0.033 0.761 0.551 O
0.533 0.368 0.617 O
0.967 0.239 0.449 O
0.243 0.046 0.207 O
0.255 0.042 0.521 O
0.466 0.104 0.320 O
0.033 0.632 0.883 O
0.239 0.392 0.865 O
0.238 0.415 0.522 O
0.377 0.088 0.854 O
0.755 0.958 0.979 O
0.533 0.239 0.949 O
0.757 0.954 0.793 O
0.737 0.270 0.810 O
0.624 0.288 0.148 O
0.745 0.958 0.479 O
0.263 0.730 0.190 O
0.262 0.415 0.022 O
0.877 0.912 0.646 O
0.124 0.712 0.352 O
0.876 0.288 0.648 O
0.763 0.270 0.310 O
0.739 0.608 0.635 O
0.376 0.712 0.852 O
0.124 0.704 0.044 O
0.738 0.585 0.978 O
0.966 0.896 0.180 O
0.534 0.896 0.680 O
0.761 0.608 0.135 O
0.624 0.296 0.456 O
0.467 0.632 0.383 O
0.560 0.840 0.911 Ti
0.930 0.828 0.922 Ti
0.570 0.828 0.422 Ti
0.430 0.172 0.578 Ti
0.060 0.160 0.589 Ti
0.940 0.840 0.411 Ti
0.440 0.160 0.089 Ti
0.070 0.172 0.078 Ti
0.345 0.837 0.738 Be
0.344 0.188 0.919 Be
0.156 0.188 0.419 Be
0.841 0.523 0.906 Be
0.655 0.163 0.262 Be
0.656 0.812 0.081 Be
0.844 0.812 0.581 Be
0.659 0.523 0.406 Be
0.155 0.837 0.238 Be
0.341 0.477 0.594 Be
0.159 0.477 0.094 Be
0.845 0.163 0.762 Be
0.077 0.500 0.751 Mg
0.423 0.500 0.251 Mg
0.577 0.500 0.749 Mg
0.923 0.500 0.249 Mg
0.733 0.461 0.593 Si
0.731 0.189 0.925 Si
0.731 0.849 0.730 Si
0.231 0.811 0.575 Si
0.769 0.849 0.230 Si
0.269 0.151 0.270 Si
0.267 0.539 0.407 Si
0.269 0.811 0.075 Si
0.231 0.151 0.770 Si
0.767 0.461 0.093 Si
0.769 0.189 0.425 Si
0.233 0.539 0.907 Si
```

Energy with MP2020 corrections   -7.92 eV/atom
Magnetic moment   0.19 μB per atom
Crystal system   monoclinic
Space group   No. 14



An optimized crystal structure of Rb3Sb2I9, computed with PBE.

POSCAR file:
```
Rb3Sb2I9
1.0
-7.851 2.526 -1.730
-5.099 -7.744 11.830
-2.213 9.430 23.811
I Sb Rb
36 8 12
direct
0.667 0.478 0.151 I
0.069 0.328 0.824 I
0.062 0.523 0.013 I
0.454 0.748 0.654 I
0.312 0.783 0.990 I
0.168 0.619 0.825 I
0.962 0.187 0.183 I
0.569 0.432 0.816 I
0.333 0.478 0.651 I
0.456 0.567 0.458 I
0.444 0.900 0.793 I
0.038 0.187 0.683 I
0.544 0.567 0.958 I
0.533 0.098 0.480 I
0.976 0.667 0.656 I
0.938 0.523 0.513 I
0.821 0.287 0.988 I
0.546 0.748 0.154 I
0.051 0.856 0.351 I
0.179 0.287 0.488 I
0.431 0.432 0.316 I
0.055 0.013 0.490 I
0.671 0.136 0.818 I
0.810 0.966 0.655 I
0.556 0.900 0.293 I
0.945 0.013 0.990 I
0.024 0.667 0.156 I
0.931 0.328 0.324 I
0.688 0.783 0.490 I
0.832 0.619 0.325 I
0.551 0.224 0.632 I
0.449 0.224 0.132 I
0.329 0.136 0.318 I
0.467 0.098 0.980 I
0.190 0.966 0.155 I
0.949 0.856 0.851 I
0.244 0.209 0.410 Sb
0.756 0.209 0.910 Sb
____________


Randall Anderson arrived at this point of the meeting.


Other Matters

Referring to the text on page 16 of the draft Local Plan, a Member suggested that officers avoid referring to specific years to describe the financial crisis.


A Member referred to DM 2.1 Infrastructure provision and connection and expressed concern that it was often the case that electricity supply on development sites was addressed by on-street generators that provoked noise complaints. The PPD confirmed that the policy had been amended to address this issue.


A Member remarked that explicit reference should be made, particularly in CS8 Aldgate on page 82, to health facilities given that the Corporation now had a Health and Wellbeing Board.


Jeremy Mayhew left at this point of the meeting.


Members requested that page numbers be provided for the Maps and Diagrams on the contents page.


In response to a request from a Member it was agreed to include the new green space by Artizan Street Library in the map on page 80 of the Local Plan.


Given the City was not a borough, officers agreed to look at an alternative to the term ‘Borough Distributor Road’.




·         The Local Plan be recommended to the Grand Committee for publication and public consultation, subject to amendments set out during the course of the meeting of the Sub Committee;


·         The City Planning Officer be authorised, if necessary, to agree further changes to the Local Plan in consultation with the Chairman and Deputy Chairman, before its presentation to the Grand Committee;


·         The City Planning Officer be authorised, following the close of public consultation on the Local Plan, in discussion with the Chairman and Deputy Chairman, to compile a list of further changes to the Local Plan in response to the public’s comments and to submit these to the Secretary of State.


Supporting documents: